As Texans reel from ongoing blackouts at the worst possible time, during a nationwide cold snap that has sent temperatures plummeting to single digits, the news has left people in other states wondering: How could this happen in Texas, the nation’s energy powerhouse?
But policy experts have seen this moment coming for years. The only surprise is that the house of cards collapsed in the dead of winter, not the toasty Texas summers that usually shatter peak electricity demand records.
The blackouts, which have left as many as 4 million Texans trapped in the cold, show the numerous chilling consequences of putting too many eggs in the renewable basket.
Fossil Fuels Aren’t to Blame
There are misleading reports asserting the blackouts were caused by large numbers of natural gas and coal plants failing or freezing.
Here’s what really happened: the vast majority of our fossil fuel power plants continued running smoothly, just as they do in far colder climates across the world. Power plant infrastructure is designed for cold weather and rarely freezes, unlike wind turbines that must be specially outfitted to handle extreme cold.
It appears that ERCOT, Texas’s grid operator, was caught off guard by how soon demand began to exceed supply.
Failure to institute a managed rolling blackout before the grid frequency fell to dangerously low levels meant some plants had to shut off to protect their equipment. This is likely why so many power plants went offline, not because they had failed to maintain operations in the cold weather.
Yet these operational errors overshadow the decades of policy blunders that made these blackouts inevitable.
Thanks to market-distorting policies that favor and subsidize wind and solar energy, Texas has added more than 20,000 megawatts (MW) of those intermittent resources since 2015 while barely adding any natural gas and retiring significant coal generation.
Increased Reliance on Unreliable Renewables
On the whole, Texas is losing reliable generation and counting solely on wind and solar to keep up with its growing electricity demand. I wrote last summer about how ERCOT was failing to account for the increasing likelihood that an event combining record demand with low wind and solar generation would lead to blackouts.
The only surprise was that such a situation occurred during a rare winter freeze and not during the predictable Texas summer heatwaves.
Yet ERCOT still should not have been surprised by this event, as its own long-term forecasts indicated it was possible, even in the winter.
Although many wind turbines did freeze and total wind generation was at 2 percent of installed capacity Monday night, overall wind production at the time the blackouts began was roughly in line with ERCOT forecasts from the previous week.
We knew solar would not produce anything during the night when demand was peaking. Intermittency is not a technical problem but a fundamental reality when trying to generate electricity from wind and solar.
This is a known and predictable problem, but Texas regulators fooled themselves into thinking that the risk of such low wind and solar production at the time it was needed most was not significant.
Special Breaks Helped Cause the Blackouts
The primary policy blunder that made this crisis possible is the lavish suite of government incentives for wind and solar.
They guarantee profits to big, often foreign corporations and lead to market distortions that prevent reliable generators from building the capacity we need to keep the lights on when wind and solar don’t show up.
Research by the Texas Public Policy Foundation’s Life:Powered project found that more than $80 billion of our tax dollars have been spent on wind and solar subsidies in the last decade, in federal subsidies alone. Texans are also charged an average of $1.5 billion a year in state subsidies for renewable energy.
All that cash hasn’t materially changed our energy landscape. Wind and solar still provide just 4 percent of our energy nationwide. The promise that subsidies would kickstart renewable energy technology remains unmet after more than 40 years.
Renewable advocates will be quick to point out that fossil fuels also receive subsidies from the federal government. That’s partially true, but solar companies receive 75 times more money and wind 17 times more per unit of electricity generated.
Nevertheless, the best solution for Texans, and all Americans, would be to eliminate all energy subsidies and allow the free market to drive our energy choices.
As politically popular as wind and solar energy are, no amount of greenwashing can cover up their fundamental unreliability and impracticality for anything other than a supplemental energy source.
Yet our government — even in the oil country of Texas, home of Spindletop and the Permian Basin — is designed to incentivize renewable energy projects.
Keep This from Happening Again
This week’s blackouts should be a wake-up call to politicians. Overconfidence in renewables led us uncomfortably close to total grid failure — and when the going gets tough, few things really matter to voters as much as access to electricity.
Without it, scrambling for the barest necessities like food, water, and warmth becomes expensive, stressful, and all-consuming.
The consequences are potentially deadly. For all the talk of climate change, cold is far deadlier than heat, responsible for 20 times more deaths.
Although the cold itself may not kill you — you might not literally freeze to death — it has devastating potential to exacerbate preexisting conditions and make otherwise minor illnesses life-threatening.
It’s a reality far too many know firsthand, as a recent study found increasing natural gas utility prices led to an increase in wintertime deaths as they force families to choose between putting food on the table and paying the heating bill.
In this health-conscious era of the COVID-19 crisis, this should be enough to pause any policy discussion that might inhibit electricity access.
Here’s What to Do
The Texas legislature, and other states hoping to avoid similar messes, should act decisively to protect our electric grid in a few specific ways.
First, they should require all electric generation to be “dispatchable,” or readily available — meaning generators guarantee a certain amount of power will be available at all times.
No more should we tolerate wind turbines pumping out a measly 2 percent of their capacity and leaving Texas families in the cold.
Second, they should end subsidies for both renewable and traditional energy sources. Research by the Texas Public Policy Foundation explains extensively the problems with energy subsidies, including distorting markets without improving technology or shifting our energy landscape in the slightest.
Rather than wasting tax dollars trying (and failing) to pick winners and losers, lawmakers should allow the free market to work.
Finally, they should work to discourage the discriminatory practice of environmental, social, and governance (ESG) investing, which prioritizes political correctness over fiduciary duty and places workers’ and retirees’ futures at risk.
Texas and several other states will file legislation soon to prohibit companies that boycott or divest from fossil fuels from doing business with the government. It’s a good start to ensure this energy discrimination campaign doesn’t infiltrate state pensions and investments.
Especially in the bitter cold of winter, a life without electricity is a miserable one. It’s unfortunate that years of poor policy choices — coupled with ERCOT’s mismanagement — made this crisis a reality for so many Texans.
Texans learned firsthand the consequences of unreliable renewable energy this week. If their voices are heard, it won’t happen again.
Read more at The Federalist
So failing to winterize the wind turbines is what caused the power failure. Wind power provides 13GW of power for Canada. Blaming ‘unreliable renewables’ is identical to condemning power because of Chernobyl.
I tried to share this on Facebook and got this (I’m in the US):
“This post can’t be shared
In response to Australian government legislation, Facebook restricts the posting of news links and all posts from news Pages in Australia. Globally, the posting and sharing of news links from Australian publications is restricted.”
When South Australia suffered disastrous blackouts the alarmist media blamed the aging supply infrastructure borne of an industry reliant on coal-fired power stations.
This was partly true. However, technologies such as wind or solar have little inertia and have limited ability to dampen rapid changes in frequency anyway. This was cherry-picked out of their equation, of course.
There has been much angst in Australia today about Facebook refusing to continue to republish news. As it applies to the alarmist media too, the end result might be fewer reading cherry-picking climate articles, which can’t be all that bad.
If people wanted a clear picture of the ‘climate’, they should spend more time outdoors. I’m a 65 year-old farmer. Weather matters. With decades of experience I’m not alarmed by the headlines, just disgusted.
Texas wasn’t prepared for this calamity. Billion$ of subsidies for wind turbines and solar panels from Washington has been a disincentive . Besides, the Earth is warming, right? Texas is the air conditioner Capital of the World.
My property insurance (in Canada) is going to go up because of frozen plumbing in Texas. That’s how it works.
In Texas someone said we didn’t have a bad winter in four years. Biden gets installed after stealing the election, and hell freezes over.
Records of crystals, kept here for reference >
<<<
[1]
Diffraction record for RbLiAg2Br4. The powder X-ray diffraction pattern is calculated, not measured: it uses a cell relaxed with PBE and Cu Kα.
Kinematic intensities with the Lorentz-polarization factor, no thermal factor.

Principal peaks in the range 2θ from 10° to 90°, by intensity:
2θ = 26.2°, rel. 1000
2θ = 27.5°, rel. 733
2θ = 33.6°, rel. 648
2θ = 32.3°, rel. 519
2θ = 52.9°, rel. 435
2θ = 15.9°, rel. 335
2θ = 44.5°, rel. 221
2θ = 44.3°, rel. 195
2θ = 48.5°, rel. 188
2θ = 41.6°, rel. 187

Structural model:
```
data_RbLiAg2Br4
_chemical_formula_sum 'Rb2 Li2 Ag4 Br8'
_symmetry_space_group_name_H-M 'P 1'
_symmetry_Int_Tables_number 1
_cell_length_a 7.175
_cell_length_b 7.976
_cell_length_c 8.857
_cell_angle_alpha 90.00
_cell_angle_beta 90.00
_cell_angle_gamma 90.00
loop_
_symmetry_equiv_pos_as_xyz
'x,y,z'
loop_
_atom_site_label
_atom_site_fract_x
_atom_site_fract_y
_atom_site_fract_z
Rb1 0.000 0.000 0.000
Rb2 0.500 0.500 0.500
Li1 0.000 0.000 0.500
Li2 0.500 0.500 0.000
Ag1 0.000 0.500 0.169
Ag2 0.000 0.500 0.831
Ag3 0.500 0.000 0.331
Ag4 0.500 0.000 0.669
Br1 0.210 0.185 0.336
Br2 0.210 0.815 0.664
Br3 0.290 0.315 0.836
Br4 0.290 0.685 0.164
Br5 0.710 0.315 0.164
Br6 0.710 0.685 0.836
Br7 0.790 0.185 0.664
Br8 0.790 0.815 0.336
```

=====

[2]
Diffraction record for LiAg2SbBr6. The powder X-ray diffraction pattern is calculated, not measured: it uses a cell relaxed with PBE and Cu Kα.
Kinematic intensities with the Lorentz-polarization factor, no thermal factor.

Principal peaks in the range 2θ from 10° to 90°, by intensity:
2θ = 28.5°, rel. 1000
2θ = 37.5°, rel. 701
2θ = 43.7°, rel. 522
2θ = 17.0°, rel. 265
2θ = 23.3°, rel. 253
2θ = 49.3°, rel. 207
2θ = 34.3°, rel. 200
2θ = 58.9°, rel. 169
2θ = 42.8°, rel. 157
2θ = 15.0°, rel. 150

Structural model:
```
data_LiAg2SbBr6
_chemical_formula_sum 'Li1 Ag2 Sb1 Br6'
_symmetry_space_group_name_H-M 'P 1'
_symmetry_Int_Tables_number 1
_cell_length_a 7.175
_cell_length_b 7.177
_cell_length_c 7.667
_cell_angle_alpha 90.03
_cell_angle_beta 117.87
_cell_angle_gamma 119.97
loop_
_symmetry_equiv_pos_as_xyz
'x,y,z'
loop_
_atom_site_label
_atom_site_fract_x
_atom_site_fract_y
_atom_site_fract_z
Li1 0.000 0.000 0.000
Ag1 0.404 0.202 0.605
Ag2 0.413 0.707 0.118
Sb1 0.018 0.509 0.527
Br1 0.178 0.779 0.291
Br2 0.187 0.907 0.798
Br3 0.513 0.399 0.290
Br4 0.519 0.612 0.799
Br5 0.892 0.280 0.799
Br6 0.893 0.114 0.290
```

=====

[3]
Diffraction record for LiTlAg2Br6. The powder X-ray diffraction pattern is calculated, not measured: it uses a cell relaxed with PBE and Cu Kα.
Kinematic intensities with the Lorentz-polarization factor, no thermal factor.

Principal peaks in the range 2θ from 10° to 90°, by intensity:
2θ = 28.6°, rel. 1000
2θ = 37.7°, rel. 760
2θ = 43.8°, rel. 557
2θ = 15.0°, rel. 378
2θ = 23.4°, rel. 340
2θ = 49.6°, rel. 319
2θ = 34.4°, rel. 251
2θ = 17.0°, rel. 249
2θ = 43.0°, rel. 207
2θ = 59.1°, rel. 188

Structural model:
```
data_LiTlAg2Br6
_chemical_formula_sum 'Li1 Tl1 Ag2 Br6'
>>>
Heard one story – the rate of supply of gas was not enough to meet residential and power plant needs at the same time. Residential got priority. (Fat lot of good that was – without electricity, no fan, no heat)
Storage of natural gas? In southern California gas is stored underground in disused oil fields, under pressure, whenever ‘excess’ is arriving in the pipelines.
_Misplaced records of crystals_
┌──
This entry pairs a crystal structure of HfTi4Ga5 with its computed PXRD pattern. Radiation: copper Kα. Structure: a crystal structure in Alexandria, relaxed with GGA-PBE.
Kinematic intensities with the Lorentz-polarization factor, no thermal factor.

Main lines, low angle first (10 to 90 degrees two-theta):
- d 3.879, 22.93 deg, rel. 379, hkl 1 1 1
- d 2.817, 31.76 deg, rel. 719, hkl 2 2 0
- d 2.749, 32.57 deg, rel. 422, hkl 1 3 0
- d 2.493, 36.03 deg, rel. 1000, hkl 2 2 1
- d 2.416, 37.22 deg, rel. 673, hkl 1 1 2
- d 2.292, 39.30 deg, rel. 979, hkl 0 2 2
- d 2.227, 40.51 deg, rel. 514, hkl 0 4 0
- d 2.209, 40.86 deg, rel. 343, hkl 3 0 1
- d 2.144, 42.15 deg, rel. 376, hkl 3 1 1
- d 1.979, 45.86 deg, rel. 773, hkl 3 2 1

Structural model:
a b c (Å): 7.276 8.907 5.347
angles (deg): 90.00 90.00 90.00
Space group Pmmn (No. 59, origin choice 2)
Unique sites:
Hf  0.250  0.250  0.018 (multiplicity 2)
Ti  0.069  0.250  0.506 (multiplicity 4)
Ti  0.250  0.594  0.321 (multiplicity 4)
Ga  0.071  0.512  0.784 (multiplicity 8)
Ga  0.250  0.750  0.841 (multiplicity 2)
└──
(Personal experience. When the gas is recovered a trickle of oil comes up also. My wife inherited “oil rights” for a field used for gas storage, which is how I learned about this technique. “Royalties” – about $15 a year – just a pain in the wrist at tax time.)
Under the New Green Deal(Scam)all of America will be like Texas all over the fake crisis Global Warming/Climate Change
I went to Dallas ten years ago for my friend’s Super Bowl party. Winter followed me there. It was obvious that they weren’t prepared for frozen precipitation. Couldn’t buy a bag of salt anywhere. I don’t remember power failures! What has happened in the ten years since? Green madness.
I read recently that drillers were choosing wind turbines to supply their electricity, rather than pay for power lines to remote locations.
Excellent article!
I would respectfully suggest going one step further. This Texas energy tragedy was the inevitable consequence of the Main Stream Media and far too many ecologically naive grade school teachers.
For at least a generation, both groups have been lying to children and the general public. CO2 is the basic ingredient of life on earth. And it’s been declining naturally from life-enriching levels ten to twenty times those of today since the beginning of multicellular life. Declining to within 30ppm of lethal lows. All life dies without CO2. Do they not teach this in schools? We certainly don’t hear it on television. CO2 is essential to life and inconsequential to climate. That is the science. B.Sc.(biology)